Next, search the data further below for the word "C14H11F5NOSiTl" and retype each line that has it.
____________
# 1
The following is a DFT calculation (the ωB97M-V functional and the def2-TZVPD basis) of C14H11AgIN5O2Se as an isolated structure.

XYZ file:
```
35
Properties=species:S:1:pos:R:3:mulliken_charge:R:1
Ag -0.973 -0.625 -0.546 0.377
Se -2.778 2.503 1.473 0.281
N -2.468 3.877 0.367 -0.760
C -2.346 3.335 -0.815 0.691
C -1.992 4.059 -1.988 -0.418
C -1.737 3.330 -3.115 -0.389
C -1.823 1.900 -3.080 -0.375
N -2.154 1.193 -2.038 -0.489
C -2.449 1.891 -0.909 1.017
N -2.723 1.255 0.207 -0.623
H -1.963 5.161 -2.003 0.406
H -1.466 3.778 -4.052 0.395
H -1.585 1.369 -3.999 0.407
O -1.932 -3.209 -0.782 -0.666
C -0.840 -3.449 -0.279 0.595
C -0.268 -4.835 0.077 -0.394
C 1.063 -4.483 0.727 -0.392
C 1.148 -2.966 0.678 0.075
O 2.067 -2.278 1.111 -0.619
N 0.023 -2.474 0.079 -0.180
H -0.169 -5.396 -0.854 0.239
H -0.957 -5.350 0.760 0.248
H 1.921 -4.927 0.249 0.272
H 1.114 -4.763 1.784 0.224
I 1.795 0.317 -1.779 0.072
C 1.883 0.800 0.228 0.207
C 3.119 0.979 0.822 -0.606
C 3.148 1.152 2.186 -0.296
C 1.970 1.209 2.890 -0.715
C 0.791 1.112 2.168 -0.180
N 0.725 0.904 0.850 0.134
H 4.028 0.902 0.252 0.398
H 4.082 1.216 2.713 0.379
H 1.927 1.324 3.960 0.407
H -0.179 1.188 2.657 0.277
```

The total energy is -3810.4553 a.u. The gap between HOMO and LUMO comes out at 6.7 eV. Its max |F| is 1.3 eV Å⁻¹. The calculation puts the lowest unoccupied orbital energy at -1.64 eV. Its HOMO energy is -8.31 eV. For the energy relative to the best compared isomer or geometry (same formula, charge and spin), the calculation gives 0.0 kcal per mole.



# 2
The following is a DFT calculation (the ωB97M-V functional and the def2-TZVPD basis) of C14H11F3N4O7ReS3 as an isolated structure.

XYZ file:
```
43
Properties=species:S:1:pos:R:3:mulliken_spin:R:1
Re -0.613 -2.210 0.297 0.675
S 0.272 -0.343 1.407 0.019
C 0.138 0.859 0.065 -0.044
N 0.340 2.133 0.275 0.181
N 0.786 2.475 1.446 0.219
C 0.654 3.724 1.988 -0.047
C 1.183 3.956 3.265 0.072
C 0.993 5.182 3.865 -0.040
C 0.272 6.174 3.213 0.071
C -0.249 5.945 1.946 -0.033
C -0.057 4.729 1.325 0.066
N -0.246 0.407 -1.110 0.080
N -0.605 -0.834 -1.189 -0.186
C -0.952 -1.246 -2.490 0.006
C -1.640 -2.450 -2.666 -0.024
C -1.942 -2.887 -3.942 0.029
C -1.572 -2.137 -5.049 -0.053
C -0.937 -0.915 -4.873 0.024
C -0.624 -0.466 -3.606 -0.052
H 1.079 1.717 2.076 -0.021
H 1.723 3.168 3.765 0.001
H 1.390 5.370 4.850 -0.001
H 0.104 7.122 3.700 0.004
H -0.822 6.719 1.461 -0.001
H -0.462 4.507 0.352 0.009
H -1.994 -3.017 -1.816 -0.017
H -2.475 -3.818 -4.067 0.001
H -1.806 -2.498 -6.042 -0.003
H -0.682 -0.311 -5.731 0.001
H -0.131 0.479 -3.443 -0.006
O -3.027 -4.347 2.098 0.002
S -2.452 -3.717 0.965 0.004
O -3.153 -3.821 -0.289 0.001
O -1.016 -4.063 0.714 0.001
O -2.301 -2.165 1.203 0.034
F 4.416 -2.825 0.190 0.000
C 3.301 -2.395 0.774 0.001
F 3.621 -1.989 2.003 0.001
F 2.878 -1.308 0.098 0.001
S 1.852 -3.636 0.775 0.003
O 2.422 -4.926 0.662 0.002
O 1.168 -3.238 1.977 0.011
O 1.167 -3.104 -0.444 0.009
```

The total energy is -2858.1471 a.u. Its expectation value of S² is 0.9894. The gap between HOMO and LUMO (alpha / beta) comes out at 5.9 / 6.2 eV. Its max |F| is 6.7 eV Å⁻¹. The calculation puts the lowest unoccupied orbital energy (alpha / beta) at -2.90 / -2.84 eV. As for the multiplicity: 2. Its HOMO energy (alpha / beta) is -8.80 / -9.01 eV. For the energy relative to the best compared isomer or geometry (same formula, charge and spin), the calculation gives 39.7 kcal per mole.



# 3
The following is a DFT calculation (the ωB97M-V functional and the def2-TZVPD basis) of C14H11F5NOSiTl as an isolated structure.

XYZ file:
```
34
Properties=species:S:1:pos:R:3:mulliken_charge:R:1
Tl 0.546 -0.328 0.361 0.560
F -2.177 1.109 1.201 -0.273
C -1.670 -0.168 1.200 0.095
F -2.582 -0.967 0.567 -0.283
C -1.655 -0.607 2.664 0.614
F -2.853 -0.536 3.253 -0.245
F -1.221 -1.874 2.761 -0.236
F -0.806 0.168 3.360 -0.236
O 0.742 3.139 0.556 -0.112
N 1.372 2.295 0.993 0.150
C -0.110 -1.424 -5.644 -0.380
C 0.096 -2.281 -4.572 -0.736
C 0.756 -1.829 -3.442 -0.104
____________
The following is a DFT calculation (the ωB97M-V functional and the def2-TZVPD basis) of C14H11F5NOSiTl as an isolated structure.